### Entries
+++
[1]
Formula: C20H28N2O8
Source: OMol25
Level of theory: ωB97M-V/def2-TZVPD

XYZ file:
```
58
Properties=species:S:1:pos:R:3
C 0.28258 0.90920 1.02486
C 1.31109 0.71287 -0.08624
O 0.71964 0.82789 -1.38694
C 0.81813 2.01871 -2.02982
O 0.69778 2.01567 -3.21914
C 1.05643 3.34188 -1.31886
C -0.17714 3.98898 -0.63764
C -1.53939 3.72966 -1.31695
C -2.41573 2.74286 -0.58104
C -2.95171 3.05225 0.64344
C -3.79545 2.14831 1.33161
C -4.09213 0.94672 0.75014
C -3.55416 0.56430 -0.50273
N -3.89343 -0.67068 -0.99737
C -3.32088 -0.90174 -2.15197
C -2.48087 0.00047 -2.84496
N -2.18595 1.18447 -2.39082
C -2.71836 1.47597 -1.17210
H -0.40093 1.72939 0.81705
H -0.33234 0.01294 1.09497
H 0.77750 1.12646 1.97067
H 1.63957 -0.32311 -0.00279
H 2.20587 1.31725 0.04826
H 1.89251 3.28635 -0.62140
H 1.38467 4.01726 -2.10359
H 0.00010 5.06366 -0.69492
H -0.18752 3.75790 0.42587
H -1.41921 3.48495 -2.36828
H -2.07759 4.68095 -1.31095
H -2.73973 4.01380 1.09846
H -4.21377 2.39233 2.29720
H -4.76031 0.25899 1.25429
H -3.51529 -1.86525 -2.61476
H -2.05740 -0.29462 -3.79801
C -2.36222 -6.58808 2.65399
O -2.19058 -5.17107 2.68767
C -2.48738 -4.55719 1.53938
O -2.86927 -5.09679 0.53340
O -2.28812 -3.25326 1.70152
C -2.57395 -2.46357 0.53512
H -2.09033 -6.95947 3.63812
H -3.39987 -6.84551 2.44916
H -1.70789 -7.03758 1.90914
H -3.61244 -2.56613 0.25490
H -1.92246 -2.75885 -0.28764
H -2.36887 -1.43292 0.79650
C 7.06177 -0.75610 2.29340
O 6.08087 -0.07180 1.51121
C 5.99248 -0.49882 0.25105
O 6.64843 -1.37533 -0.24510
O 5.04868 0.21627 -0.36230
C 4.84412 -0.13755 -1.73349
H 7.03132 -0.31701 3.28648
H 6.82602 -1.81632 2.36380
H 8.05525 -0.61713 1.87123
H 4.52148 -1.17350 -1.81893
H 5.74960 0.02580 -2.31449
H 4.05683 0.50490 -2.11967
```

Values from the calculation:
* gap between HOMO and LUMO: 8.720 eV
* SMILES: CCOC(=O)CCCc1cccc2nccnc12.COC(=O)OC.COC(=O)OC
* energy: -1490.34195 a.u.
* highest occupied orbital energy: -9.010 eV

These are the Löwdin partial charges, in e, on atoms 1 to 8: C -0.035; C -0.217; O -0.003; C -0.506; O 0.111; C -0.086; C -0.159; C -0.127



[2]
Formula: C20H28N2O9S2
Source: OMol25
Level of theory: ωB97M-V/def2-TZVPD

XYZ file:
```
61
Properties=species:S:1:pos:R:3
O -6.00256 -1.42384 -0.80776
S -5.23626 -0.20890 -0.72848
O -5.15148 0.59693 -1.91840
N -5.83239 0.71622 0.52886
C -6.89708 0.16561 1.34448
H -6.62855 -0.86647 1.57841
C -8.28075 0.15801 0.66316
O -8.59113 -1.06208 0.05724
H -7.81456 -1.36185 -0.44765
H -8.31993 0.98063 -0.06910
H -9.06280 0.32619 1.40966
H -6.92857 0.74032 2.27387
C -5.80890 2.14815 0.30467
H -6.49473 2.63008 1.00278
H -6.13096 2.37184 -0.71975
C -4.39865 2.70742 0.50934
O -3.44871 2.14889 -0.36076
H -3.87160 1.98491 -1.21759
H -4.43846 3.79994 0.37764
H -4.04827 2.48839 1.52230
C -3.58528 -0.64397 -0.20204
C -2.59555 -0.77196 -1.15735
C -1.31033 -1.10402 -0.77443
C -1.02486 -1.30176 0.57493
C -2.03818 -1.20329 1.52632
C -3.32138 -0.87469 1.13366
H -4.11132 -0.77610 1.85995
H -1.79757 -1.38151 2.56233
O 0.21310 -1.66768 1.02293
C 1.34324 -1.17294 0.43746
C 1.40690 0.09317 -0.14169
C 2.60993 0.54470 -0.65175
C 3.74053 -0.24905 -0.57822
C 3.68576 -1.50587 -0.00399
C 2.48703 -1.96612 0.50625
H 2.41699 -2.93982 0.96369
H 4.56449 -2.12877 0.03547
S 5.26297 0.41472 -1.25945
O 4.89472 1.54039 -2.06829
O 6.01836 -0.65097 -1.86163
N 6.17046 0.98328 0.00141
C 5.74514 2.18735 0.66121
H 6.58490 2.88988 0.72791
H 4.98248 2.62737 0.01510
C 5.18651 1.95883 2.07496
O 4.07366 1.10145 2.10516
H 3.35195 1.49847 1.60417
H 4.94136 2.93581 2.51516
H 5.94006 1.47577 2.70075
C 7.30870 0.24126 0.49817
C 6.92333 -1.07088 1.19200
H 5.97106 -0.92702 1.72595
O 6.82042 -2.15280 0.29976
H 6.61551 -1.80186 -0.58638
H 7.69265 -1.34452 1.92228
H 7.96386 0.00943 -0.34813
H 7.85088 0.89040 1.18802
H 2.68425 1.51059 -1.12666
H 0.52572 0.71628 -0.18431
H -0.53053 -1.21359 -1.51294
H -2.84117 -0.59924 -2.19262
```

Values from the calculation:
* relative energy (zero: lowest compared OMol25 entry of this formula, charge and spin): 8.5 kcal/mol
+++
### What to do
Start at the top of the notes above and reproduce each line, ending with the one that has "2.20587 1.31725".
### Done
[1]
Formula: C20H28N2O8
Source: OMol25
Level of theory: ωB97M-V/def2-TZVPD

XYZ file:
```
58
Properties=species:S:1:pos:R:3
C 0.28258 0.90920 1.02486
C 1.31109 0.71287 -0.08624
O 0.71964 0.82789 -1.38694
C 0.81813 2.01871 -2.02982
O 0.69778 2.01567 -3.21914
C 1.05643 3.34188 -1.31886
C -0.17714 3.98898 -0.63764
C -1.53939 3.72966 -1.31695
C -2.41573 2.74286 -0.58104
C -2.95171 3.05225 0.64344
C -3.79545 2.14831 1.33161
C -4.09213 0.94672 0.75014
C -3.55416 0.56430 -0.50273
N -3.89343 -0.67068 -0.99737
C -3.32088 -0.90174 -2.15197
C -2.48087 0.00047 -2.84496
N -2.18595 1.18447 -2.39082
C -2.71836 1.47597 -1.17210
H -0.40093 1.72939 0.81705
H -0.33234 0.01294 1.09497
H 0.77750 1.12646 1.97067
H 1.63957 -0.32311 -0.00279
H 2.20587 1.31725 0.04826